xjwsrock: They are also handing out titles like "remote bethelite" to people that are doing remote programming and drafting work for these construction projects.
You forgot: "Commuter Bethelite"
its been a couple of weeks since a new c.o.
was appointed to the circuit and im starting to hear tidbits of his talks..
one brother told me that in one of his talks he asked the question; .
xjwsrock: They are also handing out titles like "remote bethelite" to people that are doing remote programming and drafting work for these construction projects.
You forgot: "Commuter Bethelite"
## Calculated crystals, as found in the file
____________
## Sr2EuNbO6 (PBE)

Data for a geometry-optimized Sr2EuNbO6 structure.

Lattice parameters (Å, degrees): 8.455 8.455 8.455 90.00 90.00 90.00
Positions (direct):
Nb 0.250 0.750 0.750
Nb 0.250 0.250 0.250
Nb 0.750 0.250 0.750
Nb 0.750 0.750 0.250
Sr 0.000 0.000 0.500
Sr 0.000 0.000 0.000
Sr 0.000 0.500 0.000
Sr 0.500 0.000 0.500
Sr 0.500 0.500 0.500
Sr 0.500 0.000 0.000
Sr 0.500 0.500 0.000
Sr 0.000 0.500 0.500
O 0.983 0.716 0.208
O 0.483 0.784 0.708
O 0.284 0.208 0.017
O 0.017 0.716 0.792
O 0.716 0.208 0.983
O 0.284 0.792 0.983
O 0.216 0.292 0.483
O 0.017 0.284 0.208
O 0.716 0.792 0.017
O 0.792 0.017 0.716
O 0.708 0.483 0.784
O 0.708 0.517 0.216
O 0.784 0.708 0.483
O 0.208 0.017 0.284
O 0.292 0.517 0.784
O 0.517 0.784 0.292
O 0.517 0.216 0.708
O 0.216 0.708 0.517
O 0.983 0.284 0.792
O 0.483 0.216 0.292
O 0.208 0.983 0.716
O 0.792 0.983 0.284
O 0.784 0.292 0.517
O 0.292 0.483 0.216
Eu 0.250 0.250 0.750
Eu 0.250 0.750 0.250
Eu 0.750 0.250 0.250
Eu 0.750 0.750 0.750

Properties
symmetry = Pn-3
raw total energy = -8.14 eV per atom
E_form = -3211 meV per atom
V = 604.38 Å³ per cell
crystal system = cubic

## Sr2EuNbO6 (PBE)

Data for a geometry-optimized Sr2EuNbO6 structure.

Lattice parameters (Å, degrees): 6.028 6.028 6.028 60.00 60.00 60.00
Positions (direct):
Sr 0.750 0.750 0.750
Sr 0.250 0.250 0.250
Nb 0.500 0.500 0.500
O 0.735 0.735 0.265
O 0.265 0.265 0.735
O 0.735 0.265 0.265
O 0.265 0.735 0.735
O 0.735 0.265 0.735
O 0.265 0.735 0.265
Eu 0.000 0.000 0.000

Properties
symmetry = Fm-3m
raw total energy = -8.07 eV per atom
E_form = -3144 meV per atom
V = 154.91 Å³ per cell
crystal system = cubic

## SrEuYNbO6 (PBE)

Data for a geometry-optimized SrEuYNbO6 structure.

Lattice parameters (Å, degrees): 5.968 5.968 5.968 60.00 60.00 60.00
Positions (direct):
Y 0.500 0.500 0.500
O 0.762 0.238 0.762
O 0.762 0.238 0.238
O 0.238 0.238 0.762
O 0.238 0.762 0.762
O 0.238 0.762 0.238
O 0.762 0.762 0.238
Sr 0.750 0.750 0.750
Eu 0.250 0.250 0.250
Nb 0.000 0.000 0.000

Properties
symmetry = F-43m
raw total energy = -8.78 eV per atom
E_form = -3370 meV per atom
V = 150.28 Å³ per cell
crystal system = cubic

> Which of these has the highest V?

number 1

> Number 1 is which compound?

Sr2EuNbO6

> Among the records above, which one has the lowest V?

SrEuYNbO6

> What is the V in the first record?

604.38 Å³ per cell

=====

Record 1
A geometry-optimized Hf2N2O structure, computed with PBE.

Structure (POSCAR):
```
Hf2N2O
1.0
-6.985 -3.918 -3.398
3.275 -4.986 6.377
-2.314 7.772 3.254
N Hf O
16 16 8
direct
0.531 0.760 0.489 N
0.263 0.488 0.035 N
0.730 0.741 0.271 N
0.049 0.772 0.535 N
0.736 0.508 0.962 N
0.986 0.036 0.762 N
0.458 0.995 0.730 N
0.236 0.271 0.231 N
0.463 0.233 0.511 N
0.971 0.456 0.228 N
0.483 0.724 0.949 N
0.723 0.465 0.449 N
0.231 0.957 0.991 N
0.775 0.044 0.012 N
0.958 0.225 0.466 N
0.028 0.542 0.772 N
0.461 0.216 0.258 Hf
0.278 0.740 0.021 Hf
0.753 0.969 0.216 Hf
0.007 0.010 0.996 Hf
0.747 0.464 0.713 Hf
0.961 0.706 0.249 Hf
0.214 0.251 0.461 Hf
____________
today i added a new article to my blog.
it includes a not-yogi berra quote in memory of a beloved man.
oh, and it includes a two image depiction of how watchtower has but hasn't changed.
Marvin, great posts!
It really shows how silly and ridiculous WT/JW beliefs are.
Let's review: It's a cult!
its been a couple of weeks since a new c.o.
was appointed to the circuit and im starting to hear tidbits of his talks..
one brother told me that in one of his talks he asked the question; .
A. Are thousands of people really asking for Bible studies?
I seriously doubt it. Why would a website (that people have to seek out on their own initiative) be more effective than the personal approach? There is no good reason.
I'm calling bullshit on this one.
B. Are The JW Carts more effective?
Puh-leeze! Of course this is anecdotal, but I've seen those carts a half dozen times in various locations throughout SoCal. In a couple of places I was able to observe their activity for an hour or so because I was nearby for an appointment (once at the DMV) and only one time did anyone approach the cart.
The one time, a woman who was obviously bored waiting for her turn at the DMV walked over, picked up a book, looked at if for 10 - 15 seconds and immediately put it back. The JW manning the cart made no attempt to talk to her, nor did the woman talk to the JW.
Another time, I saw a cart at a busy train station in Santa Barbara. Hundreds of people were walking by the cart and the table the "brothers" had set up. All of the people walking by avoided the Witnesses by a very wide berth.
I'm calling bullshit on this one too!
C. Is construction and sale of Real Estate and Donations going to supersede the door to door work?
I actually think this one is very likely true.
The WTBTS has a winning model:
Continue to beat the friends to donate more with "stealth tithing," and constant guilt-tripping.
Let's review: It's a cult!
there were many addressed to me.
for example, i once had a sister tell me i was gambling because i liked playing skill crane (the machine where you have to try to pick up prizes like stuffed animals) at the arcade.
i then fired back a her: "you saw the r-rated movie 'backdraft.
TruthSeeker: Oubliette don't the student testimonials in that advertisement give you that warm and fuzzy feeling about how normal these people are? LOL just kidding
Maybe not warm, but certianly fuzzy, ... or feathered, as the case may be!
the culture of jws as encouraged by the watchtower is one of informing on one another, reporting to either the elders or ones designated head.
whats the wackiest thing that someone reported on you?
im not talking about a black-and-white watchtower rule that would land you in a judicial committee, but some judgmental nonsense that someone thought they should turn you in about?.
Londo: Sam Herd ... brought up Star Wars. He said he couldn’t recommend the movie because it “promoted war”
That's right. Jehovah the genocidal "powerful warrior" can't stand anyone else taking life--even if it's fictional--because that's his job. - Exodus 15:3
the culture of jws as encouraged by the watchtower is one of informing on one another, reporting to either the elders or ones designated head.
whats the wackiest thing that someone reported on you?
im not talking about a black-and-white watchtower rule that would land you in a judicial committee, but some judgmental nonsense that someone thought they should turn you in about?.
OFS: the eldurrs "talked" to me ... [because] my vehicle had been seen late at night in front of a nightclub and that I should park a few blocks away so as not to "stumble" anyone.
No doubt that was what they did.
the culture of jws as encouraged by the watchtower is one of informing on one another, reporting to either the elders or ones designated head.
whats the wackiest thing that someone reported on you?
im not talking about a black-and-white watchtower rule that would land you in a judicial committee, but some judgmental nonsense that someone thought they should turn you in about?.
Londo: I went on a date, chaperoned by my friend and my date’s friend. I was 29, living on my own. This was playing by JW rules 100%. An elder and his wife saw us and still decided to report the matter to my parents.
What did they "report"?
That's just messed up.
the culture of jws as encouraged by the watchtower is one of informing on one another, reporting to either the elders or ones designated head.
whats the wackiest thing that someone reported on you?
im not talking about a black-and-white watchtower rule that would land you in a judicial committee, but some judgmental nonsense that someone thought they should turn you in about?.
Diogenesister: where does sam Herd get that god-awful nasally accent?
Obviously, it comes from talking out of his ass!
there were many addressed to me.
for example, i once had a sister tell me i was gambling because i liked playing skill crane (the machine where you have to try to pick up prizes like stuffed animals) at the arcade.
i then fired back a her: "you saw the r-rated movie 'backdraft.
Truthseeker101, here is the truth you seek:
"Since 1975, The American Institute of Taxidermy has been proud to be the leader in taxidermy training. Now we would like to bring that training to the comfort of your own home by being the first to offer online classes. Starting in January 2008, we began offering Deer and Pheasant Mounting sessions. In August 2008 we expanded our offerings to include sessions in Coyote, Bass and Squirrel Mounting."
* * * * * * * * * * * *
"... This is the greatest thing I have ever done and I love taxidermy. Can't wait to sign up for the next course." Kathy M |
* * * * * * * * * * * *
The online course was far more detailed than anything I have seen
before. I never had to guess at anything because nothing was missing. I
look forward to taking the online bird class soon."
Bob I.
* * * * * * * * * * * *
Enjoyed mounting these squirrels a lot and I can see that I did a
better job on the second one than the first. I'm looking forward to my
next class (coyote) and challenge."
Jack from Indiana
* * * * * * * * * * * *
"... I couldn't be any happier with the online Turkey Flying class! It's so exciting telling people that I mounted it myself!" Judy C. |
* * * * * * * * * * * *
i apologize for the self-serving nature of this post.. i first said this to a lovely person here to encourage her and add a bit of humour to a harsh situation, but i've fallen in love with my own words, ha, and would like to use a variation of what i said to her as my new signature quote.
it's a bit long, and could become tiresome eventually, but do you forum members think that you might like (or could tolerate, heh) seeing this on my posts?.
.... "may god, or the universe, or airborne spaghetti, or energies or wavelengths or frequencies, or quantum particles that somehow attract things to us, or telepathic manipulation by aliens -- bless you.
MW, I love the sentiment, but it is a bit long.
But personally, I'm not really much of a fan of signature quotes! So feel free to take my opinion with a grain of salt